Peachy [they/she]
Lilith bless the trans flag
I love even people add a fuckton of ear piercings for long-ear races, looks so good
Maybe the incels will figure this out and bother AI instead of women.
The median straight-cis sex session is 5.4 minutes. Studies haven’t really been completed for other types of couples, but the consensus in the queer community is that lesbian sex sessions are EXTREMELY long. Looking at a gay subreddit, it looks like 15-30 minutes is the consensus for good sex sessions. The Tik Tok ban was something like 12 hours
This comment is actually really funny /g idk the wording or something just made me laugh
Blaze has been warned about harassment already, and not just on mods. Fan didn’t threaten to ban them for critiquing our actions, although I can see how anyone else could’ve got there. Reminder that the modlog is visible to anyone, if anyone feels that we are banning people purely for speaking out, please contact Ada if you do not trust any of the other local mods to address the situation
1.
# C6H9I2N2

A structure of composition C6H9I2N2 in a non-equilibrium geometry (ωB97M-V/def2-TZVPD, OMol25).

Its net charge is +1. The calculation puts the LUMO energy (alpha / beta) at -4.934 / -3.701 eV. The multiplicity is 1. The value obtained for the HOMO-LUMO gap (alpha / beta) is 0.2243 / 0.3006 Eh. The calculation puts the highest occupied orbital energy (alpha / beta) at -11.036 / -11.880 eV.

Geometry as XYZ:
```
19
Properties=species:S:1:pos:R:3:forces:R:3
C 2.4216 -2.0602 -1.3916 2.13 0.44 -1.96
C 0.4656 -0.4896 1.1394 4.15 -0.05 1.93
H 3.4151 -1.5724 -1.7241 -1.79 0.18 0.80
H 1.9779 -2.3400 -2.3787 0.24 -0.45 1.19
H -0.3782 -1.6680 -1.7862 0.52 0.53 0.81
C 1.7243 -0.7286 0.6033 -0.68 -0.45 -0.12
H -2.1337 -0.5569 1.6367 1.23 0.14 -2.33
N 1.4712 -1.2397 -0.6694 -0.56 0.53 0.51
I -4.9563 1.6285 0.3454 0.54 0.32 0.36
H -2.5895 2.7527 -0.3970 -0.53 -1.17 1.72
C -2.9704 2.1264 0.4917 1.23 0.61 -0.85
C -1.7785 -0.5946 0.5207 -5.56 -0.36 1.71
C 0.1410 -1.2346 -0.9089 -0.36 -0.45 0.72
H 0.4640 -0.3093 2.2272 -1.27 0.29 -0.88
H 2.7823 -0.7010 1.0399 -2.03 0.05 -0.74
H 2.8017 -2.8372 -0.7182 -0.74 -0.37 -0.51
H -2.3565 2.0476 1.4315 -1.12 0.21 -1.09
I -3.2765 -1.5671 -0.6458 1.03 0.33 0.40
N -0.5078 -0.8136 0.2498 3.58 -0.35 -1.66
```
Forces are in eV/Å.

Atomic partial charges in e from the Mulliken method, atoms 1 to 2: C -0.805; C -0.349

***

2.
# C21H23F2N3O2

The molecule C21H23F2N3O2 (ωB97M-V/def2-TZVPD, OMol25).

The calculation puts the LUMO energy at 0.555 eV. The multiplicity is 1. The value obtained for the HOMO-LUMO gap is 0.3394 Eh. The calculation puts the highest occupied orbital energy at -8.681 eV.

Geometry as XYZ:
```
51
Properties=species:S:1:pos:R:3:forces:R:3
C 1.9058 -2.0723 6.2570 0.07 0.00 -0.02
H 1.3659 1.5497 -0.4895 0.09 0.01 0.05
C 1.4273 -1.3190 -1.1889 -0.02 -0.06 -0.28
H -0.7896 1.0224 -0.5005 -0.07 0.01 0.00
F -6.4704 2.0420 -6.2103 0.11 -0.02 0.07
H 2.4135 -1.3021 -1.6585 -0.02 -0.08 0.03
O 2.7612 2.4565 1.4779 -0.06 0.46 -0.03
H -3.4986 -0.8923 -4.5998 0.04 -0.08 0.00
H -1.9033 -0.0841 0.3091 -0.04 0.03 0.01
H 3.4685 1.5623 3.5266 0.13 -0.16 0.00
C -3.7182 2.4188 -3.9111 0.07 -0.17 0.02
C -4.9553 0.4331 -5.4064 -0.21 0.14 -0.10
C -4.8041 2.7435 -4.7006 -0.14 -0.07 -0.13
C -3.2550 1.1079 -3.8418 -0.06 0.14 -0.15
H -2.8658 -0.9705 -2.5140 0.02 0.12 0.00
H 2.8920 0.7282 -0.8321 -0.05 0.03 0.00
C 2.6520 1.2826 1.1986 0.03 -0.35 -0.20
C 3.2689 -2.1118 6.0195 0.05 -0.11 0.11
H 0.0432 -1.1387 5.7070 -0.11 0.03 0.00
H 1.2085 -2.3537 -0.8987 0.06 -0.02 -0.06
H 0.3574 -1.4833 -3.0633 0.00 0.00 -0.05
C 1.1076 -1.1965 5.5421 -0.05 0.16 -0.15
H -1.2605 -1.8954 -1.2441 0.01 0.08 -0.04
F 0.8987 0.4783 3.9165 0.10 0.03 0.05
C 3.8338 -1.2811 5.0672 -0.13 0.05 0.00
C 2.0627 0.7866 -0.1210 -0.11 0.07 0.03
H -5.4431 -0.3166 -6.0092 -0.06 -0.04 -0.07
H -3.2089 3.1764 -3.3356 0.05 0.07 0.04
H 4.8982 -1.3165 4.8871 0.11 0.01 -0.05
C 3.6633 0.5085 3.2943 0.00 0.31 -0.06
C 0.1808 -0.5109 0.6810 -0.26 0.08 0.07
== The records of molecules stop here ==
I keep seeing comments like this about none of us having local accounts. My account is local??? I was one of the first mods brought on by Moss, so I’m not sure where this came from. I had a shitjustworks account at first, but I switched over almost immediately so maybe that was it? Our reports counter is consistently at 0.
The rest is accurate.
I agree, janitors is the correct description here. It’s not an insult.
I don’t know that we ever remove comments for “not contributing to the discussion” unless I’m just not seeing it. Ironically, our concern about some of Ada’s bans had to do with her saying that they were “participating in bad faith” which is why we asked for a more specific rules from her.
Not defending our recently actions as a group, just curious if anyone was actually banning for “not contributing to discussion” or if it was more of a random example.
California just voted to keep slavery of inmates legal, as another example of tyranny of the majority.
Bleys is right, the community should’ve been in the loop earlier. We were (ironically) worried about potentially upsetting Ada and we just kept making the wrong decisions. Obviously, the move without a (at the bare minimum) heads up was the wrong one.
We remove them when they’re reported or find them in the field. I go through most posts of the day but it’s entirely possible I didn’t click on every single comment section. The extremely long ones load really weird for me, I find that most posts with 100+ comments tended to be the issue but the community usually does a good job reporting trash comments pretty quickly.
We’ve had people assume that because a post was 1-2 days old, the comments were also exactly that old, so I’m not sure if that’s what you’re thinking of… on the more extreme side we’ve also had 7-day old posts still racking up new comments that I had to lock because it was getting out of hand.
I’m so lost in the vagueness of this comment.
I remember when Moss had to make one
of what? A local account? That was my first sentence. I have a local account.
# Quantum chemistry results that have nothing to do with the piece
********
A cluster of 5 separate species, C27H41BN4OP in total in a non-equilibrium geometry. Source: OMol25; level of theory: ωB97M-V with the def2-TZVPD basis set.

Last column: Mulliken charge in e.
Geometry (Å):
C  -1.398  -5.559  2.634  -1.171
C  0.129  -5.773  2.774  0.001
C  0.928  -5.363  1.520  -0.992
C  2.137  -4.389  1.646  0.298
C  1.825  -3.061  0.956  -1.381
P  2.833  -4.007  3.403  -0.190
B  3.441  -3.599  5.239  0.506
O  4.550  -4.271  5.808  -0.612
C  2.643  -2.557  6.140  -0.539
C  2.443  -1.194  5.471  -1.012
H  -1.670  -5.198  1.647  0.300
H  -1.934  -6.480  2.843  0.285
H  -1.753  -4.821  3.348  0.293
H  0.442  -5.274  3.677  0.145
H  0.271  -6.835  2.947  0.308
H  1.273  -6.273  1.036  0.278
H  0.221  -4.933  0.816  0.288
H  2.965  -4.821  1.089  0.390
H  2.755  -2.647  0.574  0.390
H  1.423  -2.352  1.683  0.082
H  1.148  -3.184  0.111  0.537
H  4.204  -4.429  3.007  -0.273
H  3.173  -2.605  2.955  -0.244
H  1.456  -3.510  3.776  -0.218
H  2.531  -5.403  3.870  -0.239
H  4.238  -5.162  6.060  0.292
H  3.067  -2.459  7.140  0.310
H  1.652  -2.997  6.281  0.335
H  2.080  -0.444  6.171  0.351
H  1.706  -1.300  4.680  0.205
H  3.356  -0.840  5.008  0.283
N  -1.525  0.036  -0.896  -0.594
C  -0.547  -0.226  -0.028  -0.391
C  0.632  0.499  0.048  -0.501
C  0.808  1.557  -0.828  -0.484
C  -0.197  1.846  -1.739  -0.861
C  -1.339  1.059  -1.732  -0.335
H  -0.717  -1.064  0.638  0.520
H  1.389  0.234  0.774  0.550
H  1.716  2.148  -0.801  0.610
H  -0.101  2.663  -2.441  0.750
H  -2.146  1.255  -2.429  0.703
N  -0.833  1.643  -5.060  -0.105
C  -1.430  1.814  -6.237  -0.068
C  -0.763  1.782  -7.452  -0.644
C  0.605  1.562  -7.448  -0.171
C  1.243  1.384  -6.233  -0.775
C  0.482  1.432  -5.074  0.015
H  -2.501  1.985  -6.193  0.348
H  -1.304  1.925  -8.378  0.354
H  1.162  1.530  -8.375  0.378
H  2.309  1.209  -6.180  0.353
H  0.944  1.294  -4.103  0.317
N  -4.370  2.466  -3.861  -0.243
C  -5.274  1.501  -3.704  -0.088
C  -6.614  1.737  -3.441  -0.631
C  -7.041  3.050  -3.331  -0.121
C  -6.114  4.067  -3.488  -0.571
C  -4.798  3.722  -3.752  -0.191
H  -4.895  0.488  -3.792  0.375
H  -7.303  0.912  -3.322  0.364
H  -8.079  3.277  -3.123  0.354
H  -6.403  5.106  -3.407  0.366
H  -4.039  4.487  -3.882  0.400
N  0.430  6.321  0.180  -0.556
C  0.475  5.021  0.472  -0.301
C  1.257  4.484  1.483  -0.211
C  2.042  5.343  2.234  -0.438
C  2.009  6.698  1.944  -0.293
C  1.190  7.132  0.914  -0.225
H  -0.152  4.381  -0.139  0.509
H  1.248  3.420  1.675  0.436
H  2.667  4.963  3.032  0.385
H  2.606  7.405  2.505  0.351
H  1.134  8.185  0.657  0.354

As for the charge: -1. The LUMO energy comes out at 2.138 eV.

A structure of composition C15H22MnN5O6S2 in a non-equilibrium geometry. Source: OMol25; level of theory: ωB97M-V with the def2-TZVPD basis set.

Last column: Mulliken spin population.
Geometry (Å):
Mn  0.477  -1.318  0.278  1.399
C  -5.008  3.026  3.647  0.000
C  -3.728  2.301  3.336  -0.005
C  -2.987  2.600  2.198  0.001
********
# So much for the quantum chemistry results
He should have told you that
told me what? Who are you talking about? Moss?
it’s not her fault
Never said it was??? At no point did I point fingers at Ada for anything??? I’m confused by her statement that reports were frequently left to rot, which just wasn’t the case at all. She said no mods with local accounts were added and that led to reports piling up. I have a local account. I frequently saw the reports tab have zero reports. I’m not saying she’s lying, I’m confused by our difference in what happened. It’s entirely possible she mixed up report logs. I don’t know, I’m not omniscient.
not unreasonable to expect mods to… actually be able to read all reports
Again, we read all the reports. We never had more than 10 at a time even during shitstorms and the queue was constantly empty.